# Brief
The reader should restate all of the listing further down word for word.

# Entries
+++
[1]
The following is a DFT calculation (r2SCAN) of an optimized crystal structure of PrPb3.

Geometry as POSCAR:
```
PrPb3
1.0
4.926 0.000 0.000
0.000 4.926 0.000
0.000 0.000 4.926
Pr Pb
1 3
direct
0.000 0.000 0.000
0.000 0.500 0.500
0.500 0.000 0.500
0.500 0.500 0.000
```

Uncorrected energy (eV per cell): -200.2
DFT formation energy (eV per atom): -0.4816
V (Å³/atom): 29.9

---

[2]
The following is a DFT calculation (r2SCAN) of an optimized crystal structure of Pr3Pb.

Geometry as POSCAR:
```
Pr3Pb
1.0
5.018 0.000 0.000
0.000 5.018 0.000
0.000 0.000 5.018
Pr Pb
3 1
direct
0.000 0.000 0.500
0.000 0.500 0.000
0.500 0.000 0.000
0.500 0.500 0.500
```

Uncorrected energy (eV per cell): -146.2
DFT formation energy (eV per atom): -0.4286
V (Å³/atom): 31.6

=====

Record 1
The following is a PBE calculation of a geometry-optimized SmZn2Ag structure, from Materials Project.

Lattice parameters (Å, degrees): 6.8002 6.8002 6.8002 90.00 90.00 90.00
Sites, in units of the cell vectors:
Sm1 0.0000 0.0000 0.0000
Sm2 0.0000 0.5000 0.5000
Sm3 0.5000 0.0000 0.5000
Sm4 0.5000 0.5000 0.0000
Zn1 0.2500 0.2500 0.2500
Zn2 0.2500 0.2500 0.7500
Zn3 0.2500 0.7500 0.2500
Zn4 0.2500 0.7500 0.7500
Zn5 0.7500 0.2500 0.2500
Zn6 0.7500 0.2500 0.7500
Zn7 0.7500 0.7500 0.2500
Zn8 0.7500 0.7500 0.7500
Ag1 0.0000 0.0000 0.5000
Ag2 0.0000 0.5000 0.0000
Ag3 0.5000 0.0000 0.0000
Ag4 0.5000 0.5000 0.5000

Values from the calculation:
Its space group is No. 225. The volume comes out at 78.6 Å³/f.u. Its formation energy is -0.30 eV/atom. As for the crystal system: cubic. The value obtained for the electronic total energy is -2.817 eV per atom.

Record 2
The following is a PBE calculation of a geometry-optimized AgSn3 structure, from Materials Project.

Lattice parameters (Å, degrees): 6.7735 6.7735 5.1556 90.00 90.00 120.00
Sites, in units of the cell vectors:
Ag1 0.3333 0.6667 0.2500
Ag2 0.6667 0.3333 0.7500
Sn1 0.1695 0.3390 0.7500
Sn2 0.1695 0.8305 0.7500
Sn3 0.3390 0.1695 0.2500
Sn4 0.6610 0.8305 0.7500
Sn5 0.8305 0.1695 0.2500
Sn6 0.8305 0.6610 0.2500

Values from the calculation:
For the size of the total moment, the calculation gives 0.00 μB per cell. Its space group is No. 194. The volume comes out at 102.4 Å³/f.u. Its formation energy is 0.11 eV/atom. As for the crystal system: hexagonal. The value obtained for the electronic total energy is -3.610 eV per atom.

Record 3
The following is a PBE calculation of a geometry-optimized TbAgSn structure, from Materials Project.

Lattice parameters (Å, degrees): 4.7520 4.7520 7.4406 90.00 90.00 120.00
Sites, in units of the cell vectors:
Tb1 0.0000 0.0000 0.0000
Tb2 0.0000 0.0000 0.5000
Ag1 0.3333 0.6667 0.1881
Ag2 0.6667 0.3333 0.6881
Sn1 0.3333 0.6667 0.7798
Sn2 0.6667 0.3333 0.2798

Values from the calculation:
Its space group is No. 186. The volume comes out at 72.8 Å³/f.u. Its formation energy is -0.60 eV/atom. As for the crystal system: hexagonal. The value obtained for the electronic total energy is -4.429 eV per atom.

Record 4
The following is a PBE calculation of a geometry-optimized TbAgSn structure, from Materials Project.

Lattice parameters (Å, degrees): 4.8460 4.8460 7.4775 90.00 90.00 120.00
Sites, in units of the cell vectors:
Tb1 0.0000 0.0000 0.2287
Tb2 0.0000 0.0000 0.7713
Ag1 0.3333 0.6667 0.9737
Ag2 0.6667 0.3333 0.0263
Sn1 0.3333 0.6667 0.5588
Sn2 0.6667 0.3333 0.4412

Values from the calculation:
For the size of the total moment, the calculation gives 0.00 μB per cell. Its space group is No. 164. The volume comes out at 76.0 Å³/f.u. Its formation energy is -0.31 eV/atom. As for the crystal system: trigonal. The value obtained for the electronic total energy is -4.135 eV per atom.

Record 5
The following is a PBE calculation of a geometry-optimized TbAgSn structure, from Materials Project.

Lattice parameters (Å, degrees): 4.8269 4.8269 3.5386 90.00 90.00 120.00
Sites, in units of the cell vectors:
Tb1 0.0000 0.0000 0.0000
Ag1 0.3333 0.6667 0.5000
Sn1 0.6667 0.3333 0.5000
+++

# Result
[1]
The following is a DFT calculation (r2SCAN) of an optimized crystal structure of PrPb3.

Geometry as POSCAR:
```
PrPb3
1.0
4.926 0.000 0.000
0.000 4.926 0.000
0.000 0.000 4.926
Pr Pb
1 3
direct
0.000 0.000 0.000
0.000 0.500 0.500
0.500 0.000 0.500
0.500 0.500 0.000
```

Uncorrected energy (eV per cell): -200.2
DFT formation energy (eV per atom): -0.4816
V (Å³/atom): 29.9

---

[2]
The following is a DFT calculation (r2SCAN) of an optimized crystal structure of Pr3Pb.

Geometry as POSCAR:
```
Pr3Pb
1.0
5.018 0.000 0.000
0.000 5.018 0.000
0.000 0.000 5.018
Pr Pb
3 1
direct
0.000 0.000 0.500
0.000 0.500 0.000
0.500 0.000 0.000
0.500 0.500 0.500
```

Uncorrected energy (eV per cell): -146.2
DFT formation energy (eV per atom): -0.4286
V (Å³/atom): 31.6

=====

Record 1
The following is a PBE calculation of a geometry-optimized SmZn2Ag structure, from Materials Project.

Lattice parameters (Å, degrees): 6.8002 6.8002 6.8002 90.00 90.00 90.00
Sites, in units of the cell vectors:
Sm1 0.0000 0.0000 0.0000
Sm2 0.0000 0.5000 0.5000
Sm3 0.5000 0.0000 0.5000
Sm4 0.5000 0.5000 0.0000
Zn1 0.2500 0.2500 0.2500
Zn2 0.2500 0.2500 0.7500
Zn3 0.2500 0.7500 0.2500
Zn4 0.2500 0.7500 0.7500
Zn5 0.7500 0.2500 0.2500
Zn6 0.7500 0.2500 0.7500
Zn7 0.7500 0.7500 0.2500
Zn8 0.7500 0.7500 0.7500
Ag1 0.0000 0.0000 0.5000
Ag2 0.0000 0.5000 0.0000
Ag3 0.5000 0.0000 0.0000
Ag4 0.5000 0.5000 0.5000

Values from the calculation:
Its space group is No. 225. The volume comes out at 78.6 Å³/f.u. Its formation energy is -0.30 eV/atom. As for the crystal system: cubic. The value obtained for the electronic total energy is -2.817 eV per atom.

Record 2
The following is a PBE calculation of a geometry-optimized AgSn3 structure, from Materials Project.

Lattice parameters (Å, degrees): 6.7735 6.7735 5.1556 90.00 90.00 120.00
Sites, in units of the cell vectors:
Ag1 0.3333 0.6667 0.2500
Ag2 0.6667 0.3333 0.7500
Sn1 0.1695 0.3390 0.7500
Sn2 0.1695 0.8305 0.7500
Sn3 0.3390 0.1695 0.2500
Sn4 0.6610 0.8305 0.7500
Sn5 0.8305 0.1695 0.2500
Sn6 0.8305 0.6610 0.2500

Values from the calculation:
For the size of the total moment, the calculation gives 0.00 μB per cell. Its space group is No. 194. The volume comes out at 102.4 Å³/f.u. Its formation energy is 0.11 eV/atom. As for the crystal system: hexagonal. The value obtained for the electronic total energy is -3.610 eV per atom.

Record 3
The following is a PBE calculation of a geometry-optimized TbAgSn structure, from Materials Project.

Lattice parameters (Å, degrees): 4.7520 4.7520 7.4406 90.00 90.00 120.00
Sites, in units of the cell vectors:
Tb1 0.0000 0.0000 0.0000
Tb2 0.0000 0.0000 0.5000
Ag1 0.3333 0.6667 0.1881
Ag2 0.6667 0.3333 0.6881
Sn1 0.3333 0.6667 0.7798
Sn2 0.6667 0.3333 0.2798

Values from the calculation:
Its space group is No. 186. The volume comes out at 72.8 Å³/f.u. Its formation energy is -0.60 eV/atom. As for the crystal system: hexagonal. The value obtained for the electronic total energy is -4.429 eV per atom.

Record 4
The following is a PBE calculation of a geometry-optimized TbAgSn structure, from Materials Project.

Lattice parameters (Å, degrees): 4.8460 4.8460 7.4775 90.00 90.00 120.00
Sites, in units of the cell vectors:
Tb1 0.0000 0.0000 0.2287
Tb2 0.0000 0.0000 0.7713
Ag1 0.3333 0.6667 0.9737
Ag2 0.6667 0.3333 0.0263
Sn1 0.3333 0.6667 0.5588
Sn2 0.6667 0.3333 0.4412

Values from the calculation:
For the size of the total moment, the calculation gives 0.00 μB per cell. Its space group is No. 164. The volume comes out at 76.0 Å³/f.u. Its formation energy is -0.31 eV/atom. As for the crystal system: trigonal. The value obtained for the electronic total energy is -4.135 eV per atom.

Record 5
The following is a PBE calculation of a geometry-optimized TbAgSn structure, from Materials Project.

Lattice parameters (Å, degrees): 4.8269 4.8269 3.5386 90.00 90.00 120.00
Sites, in units of the cell vectors:
Tb1 0.0000 0.0000 0.0000
Ag1 0.3333 0.6667 0.5000
Sn1 0.6667 0.3333 0.5000